make yourself CEO of only one of these hypothetical companies.
Profile of the Companies
All America Grocery Inc – We serve communities in the middle of the income market providing low prices for all basic grocery needs. Our modest income consumers expect goods deals on good quality foods. The Covid-19 pandemic has put upward pressure on the price of everything we sell. We are also experience rising cost in every aspect of our operation as we have to put extra resources in to protecting both our employees and the public. We are both fortunate and unfortunate that the price elasticity of demand for food is .20.
## These data records were left in the text by mistake
=====
1.
Computed, not measured: a relaxed Ce4GaSn3 crystal at the PBE level of DFT.

a = 4.3343 Å, b = 4.6279 Å, c = 11.6196 Å
α = 90.00°, β = 90.00°, γ = 90.00°
Last column: nearest neighbours and their distance in Å.
Element x y z (fractional)
Ce1 0.0000 0.0000 0.0000  1 Ga 3.16, 4 Sn 3.24
Ce2 0.0000 0.5000 0.4863  5 Sn 3.22-3.24, 2 Ga 3.40
Ce3 0.5000 0.0000 0.7149  7 Sn 3.22-3.51
Ce4 0.5000 0.5000 0.2184  3 Sn 3.21-3.38, 4 Ga 3.23
Ga1 0.0000 0.0000 0.2716  2 Sn 2.85, 1 Ce 3.16
Sn1 0.0000 0.5000 0.7636  2 Sn 3.00, 5 Ce 3.22
Sn2 0.5000 0.0000 0.4303  2 Ga 2.85
Sn3 0.5000 0.5000 0.9418  2 Sn 3.00, 5 Ce 3.21-3.24

Computed properties:
**Formation energy**: -53 kJ per mole of atoms
**Symmetry**: Pmm2 (25)

---

2.
Computed, not measured: a relaxed Ce8Ga2Sn crystal at the PBE level of DFT.

a = 8.0140 Å, b = 8.0140 Å, c = 5.5738 Å
α = 99.56°, β = 99.56°, γ = 116.93°
Last column: nearest neighbours and their distance in Å.
Element x y z (fractional)
Ce1 0.0732 0.2833 0.5782  2 Ce 2.83-2.87, 2 Ga 3.08-3.16
Ce2 0.2385 0.7615 0.0000  2 Ga 2.96, 1 Sn 3.26
Ce3 0.2833 0.0732 0.5782  2 Ce 2.83-2.87, 2 Ga 3.08-3.16
Ce4 0.4106 0.4106 0.1683  1 Ce 2.75
Ce5 0.5894 0.5894 0.8317  1 Ce 2.75
Ce6 0.7167 0.9268 0.4218  2 Ce 2.83-2.87, 2 Ga 3.08-3.16
Ce7 0.7615 0.2385 0.0000  2 Ga 2.96, 1 Sn 3.26
Ce8 0.9268 0.7167 0.4218  2 Ce 2.83-2.87, 2 Ga 3.08-3.16
Ga1 0.3116 0.6884 0.5000  8 Ce 2.96-3.16
Ga2 0.6884 0.3116 0.5000  8 Ce 2.96-3.16
Sn1 0.0000 0.0000 0.0000  12 Ce 3.26-3.47

Computed properties:
**Formation energy**: -23 kJ per mole of atoms
**Symmetry**: C2/m (12)

---

3.
Computed, not measured: a relaxed CeGaSn2 crystal at the PBE level of DFT.

a = 4.5570 Å, b = 4.5570 Å, c = 4.6943 Å
α = 90.00°, β = 90.00°, γ = 90.00°
Last column: nearest neighbours and their distance in Å.
Element x y z (fractional)
Ce1 0.0000 0.0000 0.0000  4 Ga 3.22, 8 Sn 3.27
Ga1 0.5000 0.5000 0.0000  4 Ce 3.22, 8 Sn 3.27
Sn1 0.0000 0.5000 0.5000  4 Sn 3.22, 4 Ce 3.27, 4 Ga 3.27
Sn2 0.5000 0.0000 0.5000  4 Sn 3.22, 4 Ce 3.27, 4 Ga 3.27

Computed properties:
**Energy above the most stable polymorph in this dataset**: 0.000 eV/atom
**Formation energy**: -52 kJ per mole of atoms
**Symmetry**: P4/mmm (123)

---

4.
Computed, not measured: a relaxed CeGaSn crystal at the PBE level of DFT.

a = 4.4836 Å, b = 4.4836 Å, c = 4.4568 Å
α = 90.00°, β = 90.00°, γ = 120.00°
Last column: nearest neighbours and their distance in Å.
Element x y z (fractional)
Ce1 0.0000 0.0000 0.0000  3 Ga 3.04, 3 Sn 3.26
Ga1 0.3333 0.6667 0.6417  3 Sn 2.73, 3 Ce 3.04
Sn1 0.6667 0.3333 0.4449  3 Ga 2.73

Computed properties:
**Energy above the most stable polymorph in this dataset**: 0.000 eV/atom
**Formation energy**: -52 kJ per mole of atoms
**Symmetry**: P3m1 (156)


Entry 1:
Density functional theory data (PBE) for crystalline FeTc2HgN at its relaxed geometry.

Cell: 4.111 4.111 3.953 Å, 90.00 90.00 90.00°
Element x y z (fractional)
1 Fe 0.000 0.000 0.500
2 N 0.000 0.000 0.000
3 Hg 0.500 0.500 0.500
4 Tc 0.000 0.500 0.000
=====
Very Big US Auto – Very Big US Auto is one of the oldest and one of the largest manufacturers of autos in the US. Very Big US Auto’s supply chain is highly dependent components manufactured in China and assembled in the US, (think back to our week 1 problem with the seat manufacturer). The Chinese economy has rebounded quickly, much of the production capacity is still going to rebuild inventories, so the supply of components still lag behind demand so there is upward pressure on all of our costs. Additionally manufacturing facilities like ours must take extra precaution to keep workers safe. Costs are rising on all aspects of production across the industry. On the demand side, Very Big US Auto knows that demand is relatively elastic with a price elasticity of demand of 1.2. But we also know that pandemic has made some transportation substitutes less acceptable.
**These calculated crystals were left in the article by mistake:**
Record 1
VASP calculation (PBE-GGA) on a relaxed structure of Ni2Pt4Rh.

Cell lengths 7.024, 7.024, 7.024 Å; angles 81.30, 125.14, 125.14 degrees
Element x y z (fractional)
Ni  0.778  0.139  0.639
Ni  0.222  0.861  0.361
Ni  0.500  0.639  0.861
Ni  0.500  0.361  0.139
Pt  0.814  0.810  0.310
Pt  0.186  0.496  0.996
Pt  0.500  0.310  0.496
Pt  0.500  0.996  0.810
Pt  0.500  0.004  0.190
Pt  0.500  0.690  0.504
Pt  0.814  0.504  0.004
Pt  0.186  0.190  0.690
Rh  0.000  0.250  0.250
Rh  0.000  0.750  0.750

- Symmetry: I4/mcm, No. 140
- Distance to the lowest polymorph of the same formula: 32 meV/atom

=====

Record 2
VASP calculation (PBE-GGA) on a relaxed structure of YScIn.

Cell lengths 7.088, 7.088, 3.426 Å; angles 76.01, 76.01, 27.98 degrees
Element x y z (fractional)
Y  0.662  0.662  0.338
Sc  0.345  0.345  0.655
In  0.993  0.993  0.007

- Symmetry: I4mm, No. 107
- Distance to the lowest polymorph of the same formula: 71 meV/atom

=====

Record 3
VASP calculation (PBE-GGA) on a relaxed structure of CeMg3Ag2.

Cell lengths 4.579, 9.329, 8.068 Å; angles 121.79, 90.00, 104.21 degrees
Last column: magnetic moment on the atom in μB.
Element x y z (fractional)
Ce  0.882  0.763  0.923  0.89
Ce  0.118  0.237  0.077  0.89
Mg  0.313  0.625  0.527  0.00
Mg  0.943  0.886  0.576  0.00
Mg  0.651  0.302  0.807  0.00
Mg  0.349  0.698  0.193  0.00
Mg  0.057  0.114  0.424  0.00
Mg  0.687  0.375  0.473  0.00
Ag  0.491  0.983  0.812  0.01
Ag  0.509  0.017  0.188  0.01
Ag  0.769  0.538  0.252  0.01
Ag  0.231  0.462  0.748  0.01

- VASP energy: -2.84 eV per atom
- Symmetry: C2/m, No. 12

=====

Record 4
VASP calculation (PBE-GGA) on a relaxed structure of Pu2AsS6.

Cell lengths 6.087, 6.087, 11.990 Å; angles 90.00, 90.00, 90.00 degrees
Last column: magnetic moment on the atom in μB.
Element x y z (fractional)
Pu  0.000  0.000  0.332  4.35
Pu  0.500  0.500  0.832  4.35
Pu  0.500  0.500  0.168  4.35
Pu  0.000  0.000  0.668  4.35
As  0.000  0.000  0.000  0.00
As  0.500  0.500  0.500  0.00
S  0.309  0.309  0.338  -0.21
S  0.691  0.691  0.338  -0.21
S  0.191  0.809  0.838  -0.21
S  0.809  0.191  0.838  -0.21
S  0.191  0.809  0.162  -0.21
S  0.809  0.191  0.162  -0.21
S  0.309  0.309  0.662  -0.21
S  0.691  0.691  0.662  -0.21
S  0.301  0.301  0.000  -0.23
S  0.699  0.699  0.000  -0.23
S  0.199  0.801  0.500  -0.23
S  0.801  0.199  0.500  -0.23

- VASP energy: -7.25 eV per atom
- Symmetry: P4_2/mnm, No. 136

~~~~~

Record 1
This record from the Alexandria database describes a geometry-optimized K2SmPbO4 structure. The functional is PBE-GGA.

raw formation energy	-1.8905	eV per atom

abc: 6.196 3.612 6.654
angles: 90.00 108.52 90.00
Space group P2/m (No. 10)
One atom of each set of equivalent atoms:
K (0.000, 0.000, 0.000) [1 per cell]
K (0.500, 0.500, 0.000) [1 per cell]
Sm (0.000, 0.500, 0.500) [1 per cell]
Pb (0.500, 0.000, 0.500) [1 per cell]
O (0.222, 0.000, 0.695) [2 per cell]
O (0.264, 0.500, 0.303) [2 per cell]

***

Record 2
Big Time Entertainment – Big Time Entertainment is a nationwide firm providing movies, arcades and other in person entertainment venues such as bowling and roller skating. Our operations have been heavily impacted during the Covid-19 pandemic. On reopening we have been faced with a host of regulations that have greatly increased our cost of operations. We also face uncertainty as to the potential for additional shutdowns. Customers are fearful plus the guidance on operating our facilities means we are operating far below our optimal number of patron to cover the higher cost for cleaning and other measure to protect the public and our employees. Price elasticity of demand is 1.6 and we are also faced with more competitors, online entertainment and gaming, that are not experiencing these cost pressures.
Now explain:
Is the demand curve for your product relatively elastic, inelastic or unitary elastic? Demonstrate for your company’s product, by how much the quantity demanded will change if you pass on a 10% increase in cost. In other words, show your calculation of the percentage change in the quantity demanded if your prices are raised by 10%. You must provide a calculations showing the percentage change in quantity demanded.
Given your company’s price elasticity of demand and the industry supply/competitive environment you face, prepare a statement for your board as to the potential impact on profits. Who will pay the larger share of the cost increases, your firm or your customers?
hat they permit this to happen, “they give up their individuality” (ibid), they accept the products and the tasks they have to do in order to receive the commodities. In other words, “McDonaldization has brought the customer into the labor process: the customer is the laborer” (ibid: 65). A person that spent most of his life in this kind of system cannot realize what is really happening: he/she is trained every day to accept “an enchanted iron cage” from which “there is no escape, and worse, even any interest in escaping” (ibid: 67). The replacement of labor with consumption cannot be observed by people who have no other standards in their lives.
To sustain the existence of the mentioned irrationalities, Ritzer refers to the replacement of “need” by “wishes” and he employs Karl Mannheim’s term of “substantial irrationality”: “McDonaldized systems seek to manipulate the needs, desires and impulses, the substantial irrationality of customers, in order to get them to become devoted, if not habitual, consumers of their products and services” (ibid: 30). For the institutions of society whose organizing principles are based on rationality, discipline is very important and that is why one can say that they follow the model of Jeremy Bentham’s Panopticon, described by Michael Foucault in his book Discipline and Punish (1975). In the Panopticon, as well as in a McDonaldized society, “rigorous discipline is imposed to make people follow the detailed rules imposed by those with power over them” (Smith, 1999: 29). The efficiency, predictability and control in this type of society are used to “hypnotize” the people through “the delights of consumerism” (ibid: 29). “The rationality of consumer society is built on the irrationality of its individualized actors” (Bauman, 2001: 17).
In the postmodern consumer society, the “McDonaldization” process is still present in its organizing principles, but for the people who are trained to become “active participants” Bauman mentions a new kind of mechanism: “the Synopticon”. “Unlike the Panopticon, where the few watched the many, in the Synopticon the many watch the few” (Smith, 1999: 153). The consumers in the “Synopticon” watch the few models provided by television, cinema, magazines and they are seduced by them. The consumer society controls people’s desires and it provides